We will be closed on 12/23, returning Monday 12/27
Working the better part of the last year at Lender Toolkit gave me new coworkers across the country. We were lucky enough to have everyone in our remote company meet this summer in sunny Utah for a working retreat. This week I’m in overcast Maryland enjoying my favorite holiday movie on repeat, and watching all the characters travel to be with their loved ones to reunite, or meet new family members for the first time. Now 2021’s holiday travel may not be the stuff of movies where Mrs. McAllister pleads with the airline rep in front of huge crowds. Maybe you are not travelling for the second year in a row. Maybe your loved one isn’t able to travel to you. So how do you make holiday MAGIC happen when you aren’t feeling your most jolly? Or your plans had to change last minute? Or you are missing someone this year? Easy… you don’t. It will find you, it just ‘happens’.
At Lender Toolkit we like to say ‘we make technology that works like MAGIC’. To our customers we make what they need in Encompass just ‘happen’ at the click of a mouse. Our advancements in automation, and digitalization for the loan process is taking us to places higher than Grinch’s Mt. Crumpit. We have been able to give so much to our clients because of the hard work and dedication of our employees. We have been able to reward our employees because of the trust put in us by our clients. By doing our best in business every day, the magic just ‘happens’.

### These quantum chemistry results were left in the entry by mistake
10 unconnected molecules or ions with the total composition C47H56N10O4. Source: OMol25; level of theory: ωB97M-V/def2-TZVPD.

Results
- Molecular weight: 825.031 g mol⁻¹
- Structure (SMILES): CCCON1C(=O)c2ccc(O)cc2C1=O.c1cc[nH]c1.c1cc[nH]c1.c1cc[nH]c1.c1cc[nH]c1.c1cc[nH]c1.c1cc[nH]c1.c1cc[nH]c1.c1cc[nH]c1.c1cc[nH]c1
- Gap between HOMO and LUMO: 7.069 eV

Geometry as ORCA input:
```
! RIJCOSX wB97M-V def2-TZVPD def2/J DEFGRID3
* xyz 0 1
C 7.91 3.15 0.13
C 7.49 4.62 -0.31
C 6.34 5.15 0.59
O 5.96 6.51 0.30
N 4.61 6.65 0.14
C 3.76 6.60 1.29
O 3.84 7.20 2.32
C 2.65 5.60 0.83
C 1.58 4.97 1.58
C 0.66 4.07 0.88
C 0.87 3.81 -0.56
O 0.03 2.94 -1.23
C 1.95 4.45 -1.32
C 2.82 5.36 -0.61
C 4.00 6.23 -1.08
O 4.32 6.54 -2.19
H 8.93 3.11 0.57
H 7.21 2.75 0.91
H 7.84 2.44 -0.73
H 8.38 5.28 -0.23
H 7.22 4.54 -1.39
H 6.71 5.13 1.65
H 5.46 4.46 0.52
H 1.47 5.18 2.67
H -0.19 3.58 1.41
H 0.43 2.05 -1.17
H 2.12 4.29 -2.40
C 0.67 -2.43 -2.07
C 1.36 -1.53 -2.92
C 2.02 -0.63 -2.11
N 1.74 -0.96 -0.81
C 0.92 -2.06 -0.78
H 0.05 -3.26 -2.38
H 1.38 -1.54 -4.00
H 2.65 0.20 -2.35
H 2.09 -0.46 -0.01
H 0.59 -2.47 0.16
C -0.16 8.79 -4.03
C 1.22 8.73 -4.34
C 1.74 7.64 -3.69
N 0.73 7.04 -3.00
C -0.44 7.73 -3.20
H -0.87 9.52 -4.38
H 1.77 9.41 -4.97
H 2.74 7.24 -3.66
H 0.82 6.22 -2.42
H -1.36 7.41 -2.74
C -3.96 -3.84 -0.57
C -3.26 -2.94 -1.42
C -2.61 -2.04 -0.61
N -2.89 -2.36 0.69
C -3.71 -3.46 0.72
H -4.57 -4.67 -0.87
H -3.24 -2.95 -2.50
H -1.97 -1.20 -0.85
H -2.55 -1.87 1.49
H -4.04 -3.87 1.66
C -0.99 2.79 -6.33
C -1.28 2.07 -5.14
C -1.28 2.97 -4.10
N -1.00 4.20 -4.62
C -0.83 4.10 -5.98
H -0.92 2.39 -7.32
H -1.47 1.01 -5.05
H -1.46 2.84 -3.05
H -0.93 5.05 -4.09
H -0.60 4.97 -6.57
C -0.95 1.11 4.87
C -1.90 1.34 3.84
C -2.22 2.68 3.87
N -1.50 3.26 4.88
C -0.72 2.31 5.49
H -0.49 0.17 5.13
H -2.31 0.61 3.16
H -2.89 3.26 3.26
H -1.54 4.23 5.13
H -0.07 2.58 6.31
C 2.32 -2.57 4.67
C 3.42 -1.80 4.20
C 3.11 -1.38 2.93
N 1.87 -1.87 2.61
C 1.39 -2.60 3.67
H 2.23 -3.06 5.63
H 4.33 -1.57 4.74
H 3.66 -0.77 2.23
H 1.40 -1.72 1.74
H 0.42 -3.07 3.61
C -8.26 -6.94 -1.40
C -8.95 -7.15 -0.18
C -8.04 -7.00 0.83
N -6.83 -6.71 0.27
C -6.96 -6.66 -1.09
H -8.68 -6.98 -2.39
H -9.99 -7.39 -0.06
H -8.15 -7.07 1.90
H -5.97 -6.55 0.78
H -6.11 -6.44 -1.72
C -10.61 -11.34 -0.74
C -9.51 -10.56 -1.20
C -9.82 -10.13 -2.47
N -11.05 -10.63 -2.79
C -11.54 -11.36 -1.74
H -10.70 -11.83 0.22
H -8.60 -10.34 -0.66
H -9.26 -9.53 -3.16
H -11.53 -10.47 -3.66
H -12.51 -11.83 -1.80
C 9.40 -2.33 4.37
C 9.01 -1.25 5.21
C 7.67 -1.05 5.02
N 7.23 -1.96 4.10
C 8.28 -2.75 3.70
H 10.39 -2.75 4.27
H 9.64 -0.69 5.88
H 6.99 -0.34 5.46
H 6.29 -2.04 3.76
H 8.14 -3.54 2.98
*
```

=====

Entry 1:
As we all take a well deserved break from work (12/23- 12/26) to enjoy the Holidays, we hope you also get the time to reflect and relax and bask in the wonderful parts of your holiday. “Although its been said many times, many ways”, the real magic is the love you give, and the love you receive. “Seeing isn’t believing, believing is seeing!” You can always find the positivity around you if you are looking for it, especially at the most wonderful time of the year. So this year, this season, this holiday, take stock of the ones who are holding you close both near and far. There is holiday magic to be found by those who can see it.
If you weren’t able to be with family last year, and you can this year, we hope you enjoy it safely. If you are still not able to be where you want or with who you want, we hope your calls, facetimes, zooms, and cards offer you warmth and you are surrounded by the magical feelings of the season. We wish you a joyful holiday!
_The article is interrupted by molecular data_
<<<
Entry 1:
A structure of composition C42H60BMnN12S5 at a distorted geometry, computed with ωB97M-V/def2-TZVPD.

As for the HOMO energy (alpha / beta): -15.9 / -15.8 eV. The total energy comes out at -5459.678584 Ha. The calculation puts the gap between HOMO and LUMO (alpha / beta) at 6.10 / 5.72 eV. The spin multiplicity is 2. The total charge is +3. The calculation puts the lowest unoccupied orbital energy (alpha / beta) at -9.7723 / -10.0368 eV.

The geometry in XYZ format:
```
121
C42H60BMnN12S5 | the OMol25 dataset | ωB97M-V/def2-TZVPD
Mn -0.290 -0.219 0.565
C 4.178 -2.058 1.503
C 3.496 -3.113 2.371
C 4.564 -3.810 3.220
C 2.751 -4.122 1.501
N 2.472 -2.499 3.317
C 2.169 -3.099 4.527
C 1.203 -2.367 5.113
N 0.892 -1.325 4.265
B -0.034 -0.177 4.755
N -1.521 -0.329 4.334
C -2.523 0.164 5.133
C -3.702 -0.175 4.569
N -3.426 -0.884 3.417
C -2.081 -0.977 3.302
S -1.210 -1.771 2.030
C -4.489 -1.489 2.513
C -4.397 -3.010 2.599
C -4.294 -0.980 1.078
C -5.865 -1.044 3.007
N 0.537 1.201 4.309
C 1.452 1.866 5.097
C 1.727 3.045 4.503
N 0.989 3.103 3.337
C 0.259 1.969 3.249
S -0.824 1.585 1.933
C 0.983 4.288 2.391
C -0.419 4.897 2.358
C 1.457 3.820 1.004
C 1.954 5.343 2.922
C 1.666 -1.427 3.174
S 1.652 -0.360 1.787
H 5.047 -2.525 1.039
H 4.534 -1.210 2.093
H 3.539 -1.695 0.700
H 5.403 -4.070 2.578
H 4.207 -4.738 3.666
H 4.939 -3.153 4.009
H 3.450 -4.601 0.814
H 1.980 -3.617 0.911
H 2.282 -4.899 2.109
H 2.670 -3.980 4.885
H 0.720 -2.496 6.069
H -0.013 -0.200 5.952
H -2.325 0.714 6.040
H -4.700 0.043 4.901
H -3.424 -3.379 2.277
H -5.158 -3.448 1.950
H -4.586 -3.352 3.619
H -3.547 -1.563 0.539
H -3.998 0.072 1.074
H -5.242 -1.066 0.544
H -6.070 -1.390 4.022
H -6.615 -1.494 2.359
H -5.989 0.041 2.957
H 1.820 1.453 6.023
H 2.399 3.822 4.818
H -1.170 4.199 1.986
H -0.410 5.769 1.702
H -0.716 5.229 3.355
H 0.619 3.527 0.370
H 2.143 2.974 1.083
H 1.984 4.634 0.507
H 1.673 5.695 3.915
H 1.913 6.200 2.250
H 2.987 4.984 2.937
S -4.643 -1.552 -5.397
N -4.333 -0.163 -4.653
C -3.509 -0.456 -3.663
C -2.964 0.499 -2.712
C -3.218 1.872 -2.758
C -2.623 2.680 -1.819
C -1.812 2.110 -0.845
N -1.577 0.800 -0.767
C -2.134 0.004 -1.710
C -1.779 -1.402 -1.656
N -0.912 -1.753 -0.693
C -0.510 -3.016 -0.612
C -0.953 -3.998 -1.487
C -1.847 -3.655 -2.477
C -2.270 -2.326 -2.573
C -3.178 -1.833 -3.591
N -3.753 -2.565 -4.526
H -3.869 2.264 -3.533
H -2.782 3.751 -1.816
H -1.356 2.732 -0.092
H 0.196 -3.252 0.174
H -0.592 -5.013 -1.379
H -2.226 -4.382 -3.187
C 2.301 -0.731 -6.406
C 1.760 -2.120 -6.065
C 0.631 -2.104 -5.033
C 1.036 -1.533 -3.672
N 0.824 -0.071 -3.638
C 0.952 0.715 -2.584
S 1.487 0.079 -1.043
N 0.742 2.017 -2.706
C 0.378 2.716 -3.949
C 1.512 2.911 -4.956
C 2.653 3.818 -4.488
C 3.597 3.199 -3.452
H 3.070 -0.794 -7.177
H 2.764 -0.247 -5.537
H 1.508 -0.082 -6.795
H 2.573 -2.748 -5.690
H 1.391 -2.599 -6.973
H 0.265 -3.122 -4.881
H -0.220 -1.532 -5.428
H 2.088 -1.741 -3.470
H 0.457 -1.985 -2.872
H 0.681 0.366 -4.538
H 0.965 2.567 -1.894
H 0.003 3.695 -3.649
H -0.458 2.178 -4.404
>>>
Merry Christmas and Happy Holidays from Lender Toolkit!!